_Request_
Say how many lines of the lines further below hold the word "for", as a bare number, please.

_Listing_
********
Version 1
The following is a DFT calculation (wB97M-V/def2-TZVPD) of a structure of composition C2H9NSi.

Values from the calculation:
highest occupied orbital energy: -7.7969 eV

```
! RIJCOSX wB97M-V def2-TZVPD def2/J DEFGRID3
* xyz 0 1
C 2.4569 0.4478 0.3750
C -0.5612 -1.0940 -0.9491
N -1.4866 -0.9653 -0.0430
Si -2.0338 0.7349 -0.1640
H 2.9658 1.3074 0.9016
H 3.1745 -0.1979 -0.0560
H 1.7709 0.9257 -0.2801
H -0.0471 -2.0906 -1.0058
H 1.9553 -0.2349 1.0299
H -1.7856 -1.7693 0.5286
H -3.2716 0.5225 -0.7447
H -0.9719 1.4325 -0.8566
H -2.1656 0.9812 1.2644
*
```

Results of the natural (NBO) charge analysis, in e, for atoms 1 through 5: atom 1 (C): -0.850, atom 2 (C): -0.151, atom 3 (N): -0.917, atom 4 (Si): 1.099, atom 5 (H): 0.207

---

Version 2
The following is a DFT calculation (wB97M-V/def2-TZVPD) of an isolated molecule of C2H9NSi.

Values from the calculation:
highest occupied orbital energy: -8.8334 eV
SMILES: CN[SiH2]C

```
! RIJCOSX wB97M-V def2-TZVPD def2/J DEFGRID3
* xyz 0 1
C 0.7888 0.7568 1.2527
N 1.3311 0.2250 0.0085
Si 0.1505 -0.0750 -1.1757
C -1.3418 -0.9594 -0.2678
H 1.4372 1.5005 1.8201
H -0.1302 1.1431 1.0279
H 0.5582 -0.0274 1.9202
H 2.1728 -0.2673 0.0642
H 0.6416 -1.1395 -2.2431
H -0.3154 1.1710 -1.6616
H -1.1197 -1.8336 0.2485
H -1.8809 -0.2324 0.2219
H -1.9288 -1.2502 -1.1306
*
```

Results of the natural (NBO) charge analysis, in e, for atoms 1 through 5: atom 1 (C): -0.394, atom 2 (N): -1.068, atom 3 (Si): 1.302, atom 4 (C): -1.066, atom 5 (H): 0.190

---

Of them, version 2 has the highest stability.

---

Version 1
The following is a DFT calculation (wB97M-V/def2-TZVPD) of a cluster of 2 separate species, C10H16 in total.

Values from the calculation:
highest occupied orbital energy: -9.0795 eV
SMILES: Cc1ccccc1.CCC

```
! RIJCOSX wB97M-V def2-TZVPD def2/J DEFGRID3
* xyz 0 1
C -4.0709 -2.2488 0.5330
C -2.7940 -1.4146 0.6345
C -1.7481 -1.5764 -0.2629
C -0.5884 -0.8071 -0.0862
C -0.4831 0.0929 0.9748
C -1.5364 0.2483 1.8568
C -2.6295 -0.5862 1.7256
H -4.8945 -1.6826 0.9572
H -3.9257 -3.1843 1.0724
H -4.2924 -2.3588 -0.5294
H -1.8150 -2.3830 -0.9804
H 0.2456 -0.8567 -0.7762
H 0.3775 0.7457 1.0244
H -1.5235 0.9739 2.6609
H -3.3434 -0.6765 2.5437
C 2.0056 2.2685 -1.2563
C 3.1687 1.5639 -0.5050
C 3.8919 0.4965 -1.3394
H 1.9402 1.7182 -2.1952
H 2.1845 3.3361 -1.3063
H 1.0587 2.1486 -0.7224
H 3.8252 2.3083 -0.0325
H 2.7759 1.1403 0.4326
H 4.4223 0.9025 -2.1966
H 4.6004 0.0812 -0.6196
H 3.1481 -0.2502 -1.6072
*
```

Results of the natural (NBO) charge analysis, in e, for atoms 1 through 5: atom 1 (C): -0.630, atom 2 (C): -0.009, atom 3 (C): -0.214, atom 4 (C): -0.205, atom 5 (C): -0.227

---

Version 2
The following is a DFT calculation (wB97M-V/def2-TZVPD) of a cluster of 2 separate species, C10H16 in total.

Values from the calculation:
highest occupied orbital energy: -8.9950 eV
SMILES: Cc1ccccc1.CCC

```
! RIJCOSX wB97M-V def2-TZVPD def2/J DEFGRID3
* xyz 0 1
C 2.2304 1.6613 2.5004
C 1.9571 1.4595 1.0383
C 1.3907 0.2690 0.5377
C 1.0620 0.0659 -0.7673
C 1.4728 1.0131 -1.6966
C 2.0280 2.2132 -1.2732
C 2.2416 2.4371 0.1069
H 3.0778 0.9744 2.6051
H 1.3438 1.4558 3.0997
H 2.5489 2.6636 2.7864
H 1.3222 -0.4781 1.3362
H 0.4611 -0.7770 -1.0516
H 1.1726 0.8417 -2.7286
H 2.1357 3.0228 -1.9865
H 2.7595 3.3729 0.2732
C -1.5969 -2.5575 0.2661
C -2.2244 -1.3245 -0.4125
C -3.4291 -1.4917 -1.2803
H -0.5228 -2.6007 0.2844
H -1.9818 -2.5972 1.3004
H -1.9338 -3.5747 -0.0107
H -1.3837 -0.8443 -0.9051
H -2.5316 -0.6812 0.4289
H -4.1469 -0.6687 -1.1041
H -4.0213 -2.3614 -0.9712
H -3.4321 -1.4932 -2.3759
*
```

Results of the natural (NBO) charge analysis, in e, for atoms 1 through 5: atom 1 (C): -0.637, atom 2 (C): -0.016, atom 3 (C): -0.208, atom 4 (C): -0.213, atom 5 (C): -0.221

---

Of them, version 1 has the highest stability.

---

Version 1
The following is a DFT calculation (wB97M-V/def2-TZVPD) of a cluster of 2 separate species, C10H16 in total.

Values from the calculation:
highest occupied orbital energy: -8.9573 eV
********

_Solution_
4